## Given
┌──
No. 1
This entry pairs a crystal structure of Nd3Fe2Ge4 with its theoretical X-ray powder pattern. Radiation: Cu Kα (λ = 1.5418 Å). Structure: a cell relaxed with PBE.

Structural model:
```
9
Lattice="5.5347 -2.1261 0.0000 5.5347 2.1261 0.0000 -2.5033 0.0000 7.8341" Properties=species:S:1:pos:R:3 pbc="T T T"
Nd 0.0000 0.0000 0.0000
Nd 3.4616 0.0000 2.4007
Nd 5.1045 0.0000 5.4334
Fe 1.8131 0.0000 4.9606
Fe 6.7530 0.0000 2.8735
Ge 0.2182 0.0000 3.1363
Ge 0.9012 0.0000 7.1665
Ge 7.6650 0.0000 0.6676
Ge 8.3480 0.0000 4.6978
```

Most intense lines, 2θ = 10–80°, low angle first:
- 2θ 24.08, d 3.695, I = 26
- 2θ 32.34, d 2.769, I = 100
- 2θ 33.07, d 2.709, I = 57
- 2θ 33.33, d 2.688, I = 35
- 2θ 34.04, d 2.633, I = 87
- 2θ 34.34, d 2.611, I = 36
- 2θ 39.21, d 2.297, I = 41
- 2θ 42.05, d 2.149, I = 38
- 2θ 42.52, d 2.126, I = 51
- 2θ 55.75, d 1.649, I = 18
- 2θ 59.23, d 1.560, I = 18
- 2θ 62.90, d 1.478, I = 21



No. 2
This entry pairs a crystal structure of Nb3Co2Si with its theoretical X-ray powder pattern. Radiation: Cu Kα (λ = 1.5418 Å). Structure: a cell relaxed with PBE.

Structural model:
```
24
Lattice="0.0000 5.5911 5.5911 5.5911 0.0000 5.5911 5.5911 5.5911 0.0000" Properties=species:S:1:pos:R:3 pbc="T T T"
Nb 4.1933 4.1933 0.8537
Nb 4.1933 0.8537 4.1933
Nb 7.5329 4.1933 4.1933
Nb 6.9888 6.9888 3.6492
Nb 6.9888 3.6492 6.9888
Nb 10.3284 6.9888 6.9888
Nb 0.8537 4.1933 4.1933
Nb 4.1933 7.5329 4.1933
Nb 4.1933 4.1933 7.5329
Nb 3.6492 6.9888 6.9888
Nb 6.9888 10.3284 6.9888
Nb 6.9888 6.9888 10.3284
Co 3.2676 3.2676 3.2676
Co 5.1190 5.1190 3.2676
Co 5.1190 3.2676 5.1190
Co 7.9145 6.0631 6.0631
Co 3.2676 5.1190 5.1190
Co 6.0631 7.9145 6.0631
Co 6.0631 6.0631 7.9145
Co 7.9145 7.9145 7.9145
Si 5.5911 2.7955 2.7955
Si 2.7955 5.5911 2.7955
Si 2.7955 2.7955 5.5911
Si 5.5911 5.5911 5.5911
```

Most intense lines, 2θ = 10–80°, low angle first:
- 2θ 27.63, d 3.228, I = 5
- 2θ 32.02, d 2.796, I = 18
- 2θ 34.98, d 2.565, I = 10
- 2θ 39.48, d 2.283, I = 43
- 2θ 41.98, d 2.152, I = 100
- 2θ 45.91, d 1.977, I = 34
- 2θ 48.87, d 1.864, I = 8
- 2θ 58.99, d 1.566, I = 7
- 2θ 63.95, d 1.456, I = 12
- 2θ 68.71, d 1.366, I = 8
- 2θ 71.61, d 1.318, I = 34
- 2θ 73.32, d 1.291, I = 9



No. 3
This entry pairs a crystal structure of LaDyCo4 with its theoretical X-ray powder pattern. Radiation: Cu Kα (λ = 1.5418 Å). Structure: a cell relaxed with PBE.

Structural model:
```
6
Lattice="3.8874 0.0000 0.0000 0.0000 4.1631 0.0000 0.0000 0.0000 6.7641" Properties=species:S:1:pos:R:3 pbc="T T T"
La 0.0000 0.0000 0.0000
Dy 1.9437 0.0000 3.3821
Co 0.0000 2.0816 2.2786
Co 0.0000 2.0816 4.4855
Co 1.9437 2.0816 1.1502
Co 1.9437 2.0816 5.6139
```

Most intense lines, 2θ = 10–80°, low angle first:
- 2θ 26.41, d 3.374, I = 16
- 2θ 34.21, d 2.621, I = 100
- 2θ 43.47, d 2.082, I = 14
- 2θ 46.57, d 1.950, I = 23
- 2θ 46.73, d 1.944, I = 11
- 2θ 58.95, d 1.567, I = 7
- 2θ 59.14, d 1.562, I = 13
- 2θ 65.59, d 1.423, I = 16
- 2θ 65.73, d 1.421, I = 8
- 2θ 73.84, d 1.283, I = 10
- 2θ 78.27, d 1.221, I = 6
- 2θ 78.40, d 1.220, I = 6


Record 1
For CsNpBeSe3, a GGA-PBE-relaxed structure gives the computed XRD peak list in this record (Cu Kα).
Intensities are scaled so that the largest is 100.

Principal peaks in the range 2θ from 10° to 80°, low angle first:
| 2θ (°) | I/Imax |
| --- | --- |
| 10.68 | 69 |
| 19.19 | 31 |
| 23.83 | 24 |
| 28.33 | 100 |
| 28.99 | 34 |
| 29.17 | 29 |
| 35.82 | 29 |
| 36.31 | 32 |
| 42.75 | 34 |
| 46.75 | 24 |

Atomic structure:
a b c (Å): 9.974 4.082 9.995
angles (deg): 90.00 112.13 90.00
Fractional coordinates of all 12 atoms:
Cs 0.243 0.250 0.212
Cs 0.757 0.750 0.788
Np 0.148 0.250 0.670
Np 0.852 0.750 0.330
Be 0.393 0.750 0.922
Be 0.607 0.250 0.078
Se 0.159 0.750 0.880
Se 0.162 0.750 0.473
Se 0.466 0.250 0.839
Se 0.534 0.750 0.161
Se 0.838 0.250 0.527
Se 0.841 0.250 0.120

---

Record 2
For Cs2Pu3Te6, a GGA-PBE-relaxed structure gives the computed XRD peak list in this record (Cu Kα).
Intensities are scaled so that the largest is 100.
└──

## Wanted
The reader should repeat everything above with every line break kept.

## Worked solution
No. 1
This entry pairs a crystal structure of Nd3Fe2Ge4 with its theoretical X-ray powder pattern. Radiation: Cu Kα (λ = 1.5418 Å). Structure: a cell relaxed with PBE.

Structural model:
```
9
Lattice="5.5347 -2.1261 0.0000 5.5347 2.1261 0.0000 -2.5033 0.0000 7.8341" Properties=species:S:1:pos:R:3 pbc="T T T"
Nd 0.0000 0.0000 0.0000
Nd 3.4616 0.0000 2.4007
Nd 5.1045 0.0000 5.4334
Fe 1.8131 0.0000 4.9606
Fe 6.7530 0.0000 2.8735
Ge 0.2182 0.0000 3.1363
Ge 0.9012 0.0000 7.1665
Ge 7.6650 0.0000 0.6676
Ge 8.3480 0.0000 4.6978
```

Most intense lines, 2θ = 10–80°, low angle first:
- 2θ 24.08, d 3.695, I = 26
- 2θ 32.34, d 2.769, I = 100
- 2θ 33.07, d 2.709, I = 57
- 2θ 33.33, d 2.688, I = 35
- 2θ 34.04, d 2.633, I = 87
- 2θ 34.34, d 2.611, I = 36
- 2θ 39.21, d 2.297, I = 41
- 2θ 42.05, d 2.149, I = 38
- 2θ 42.52, d 2.126, I = 51
- 2θ 55.75, d 1.649, I = 18
- 2θ 59.23, d 1.560, I = 18
- 2θ 62.90, d 1.478, I = 21



No. 2
This entry pairs a crystal structure of Nb3Co2Si with its theoretical X-ray powder pattern. Radiation: Cu Kα (λ = 1.5418 Å). Structure: a cell relaxed with PBE.

Structural model:
```
24
Lattice="0.0000 5.5911 5.5911 5.5911 0.0000 5.5911 5.5911 5.5911 0.0000" Properties=species:S:1:pos:R:3 pbc="T T T"
Nb 4.1933 4.1933 0.8537
Nb 4.1933 0.8537 4.1933
Nb 7.5329 4.1933 4.1933
Nb 6.9888 6.9888 3.6492
Nb 6.9888 3.6492 6.9888
Nb 10.3284 6.9888 6.9888
Nb 0.8537 4.1933 4.1933
Nb 4.1933 7.5329 4.1933
Nb 4.1933 4.1933 7.5329
Nb 3.6492 6.9888 6.9888
Nb 6.9888 10.3284 6.9888
Nb 6.9888 6.9888 10.3284
Co 3.2676 3.2676 3.2676
Co 5.1190 5.1190 3.2676
Co 5.1190 3.2676 5.1190
Co 7.9145 6.0631 6.0631
Co 3.2676 5.1190 5.1190
Co 6.0631 7.9145 6.0631
Co 6.0631 6.0631 7.9145
Co 7.9145 7.9145 7.9145
Si 5.5911 2.7955 2.7955
Si 2.7955 5.5911 2.7955
Si 2.7955 2.7955 5.5911
Si 5.5911 5.5911 5.5911
```

Most intense lines, 2θ = 10–80°, low angle first:
- 2θ 27.63, d 3.228, I = 5
- 2θ 32.02, d 2.796, I = 18
- 2θ 34.98, d 2.565, I = 10
- 2θ 39.48, d 2.283, I = 43
- 2θ 41.98, d 2.152, I = 100
- 2θ 45.91, d 1.977, I = 34
- 2θ 48.87, d 1.864, I = 8
- 2θ 58.99, d 1.566, I = 7
- 2θ 63.95, d 1.456, I = 12
- 2θ 68.71, d 1.366, I = 8
- 2θ 71.61, d 1.318, I = 34
- 2θ 73.32, d 1.291, I = 9



No. 3
This entry pairs a crystal structure of LaDyCo4 with its theoretical X-ray powder pattern. Radiation: Cu Kα (λ = 1.5418 Å). Structure: a cell relaxed with PBE.

Structural model:
```
6
Lattice="3.8874 0.0000 0.0000 0.0000 4.1631 0.0000 0.0000 0.0000 6.7641" Properties=species:S:1:pos:R:3 pbc="T T T"
La 0.0000 0.0000 0.0000
Dy 1.9437 0.0000 3.3821
Co 0.0000 2.0816 2.2786
Co 0.0000 2.0816 4.4855
Co 1.9437 2.0816 1.1502
Co 1.9437 2.0816 5.6139
```

Most intense lines, 2θ = 10–80°, low angle first:
- 2θ 26.41, d 3.374, I = 16
- 2θ 34.21, d 2.621, I = 100
- 2θ 43.47, d 2.082, I = 14
- 2θ 46.57, d 1.950, I = 23
- 2θ 46.73, d 1.944, I = 11
- 2θ 58.95, d 1.567, I = 7
- 2θ 59.14, d 1.562, I = 13
- 2θ 65.59, d 1.423, I = 16
- 2θ 65.73, d 1.421, I = 8
- 2θ 73.84, d 1.283, I = 10
- 2θ 78.27, d 1.221, I = 6
- 2θ 78.40, d 1.220, I = 6


Record 1
For CsNpBeSe3, a GGA-PBE-relaxed structure gives the computed XRD peak list in this record (Cu Kα).
Intensities are scaled so that the largest is 100.

Principal peaks in the range 2θ from 10° to 80°, low angle first:
| 2θ (°) | I/Imax |
| --- | --- |
| 10.68 | 69 |
| 19.19 | 31 |
| 23.83 | 24 |
| 28.33 | 100 |
| 28.99 | 34 |
| 29.17 | 29 |
| 35.82 | 29 |
| 36.31 | 32 |
| 42.75 | 34 |
| 46.75 | 24 |

Atomic structure:
a b c (Å): 9.974 4.082 9.995
angles (deg): 90.00 112.13 90.00
Fractional coordinates of all 12 atoms:
Cs 0.243 0.250 0.212
Cs 0.757 0.750 0.788
Np 0.148 0.250 0.670
Np 0.852 0.750 0.330
Be 0.393 0.750 0.922
Be 0.607 0.250 0.078
Se 0.159 0.750 0.880
Se 0.162 0.750 0.473
Se 0.466 0.250 0.839
Se 0.534 0.750 0.161
Se 0.838 0.250 0.527
Se 0.841 0.250 0.120

---

Record 2
For Cs2Pu3Te6, a GGA-PBE-relaxed structure gives the computed XRD peak list in this record (Cu Kα).
Intensities are scaled so that the largest is 100.